NANCY SMITH: contact


tell me about it, oops – he did !!
exhibit card/invite signed to NANCY . . . FROM R. CRUMB, Nov., 2000

above: front
below: reverse

R. Crumb Restaurant Placemat Drawings
November 2nd – December 9th, 2000
Opening Thursday, November 2nd, 6-8 P.M.
Paul Morris Gallery, 465 West 23rd Street, New York City 10011.

It’s A Harsh Universe, 10 by 11-5/8 inches, copyright R. Crumb

p.s. and yeah, despite the initial euphoria of the new Saturn cycle, the moment is harsh, if you realize, just like all the countless generations of ancestors before you did . . . that: well, if you’ve lived to see two Saturn 30 year cycles – good luck on seeing your 3rd, because nobody lives to be 120. that’s harsh . . . heading into the inevitability of death, no matter how you cut it. and that’s what gave Saturn his fearsome rep. Father Time . . . you see the endgame coming round, when he shows up.

it’s the old yin yang dance. takes 2 rounds of Saturn to achieve wisdom, but you see your endgame in the process. ha. I guess that is a kind of wisdom – all on it’s own.

ok. thanks for the dark thoughts – nancy !!

ok. here’s a tweak, positive.

-- begin --
Record 1
41
Properties=species:S:1:pos:R:3:forces:R:3 method="wB97M-V/def2-TZVPD" homo_ev=-8.34 smiles="COCCNC(=O)Cn1nc(-c2ccc(C)cc2)ccc1=O" energy_ev=-27512.913
C 4.244647 5.753955 -1.103837 -0.02 0.08 -0.02
O 4.037797 4.418126 -0.718883 -0.03 -0.10 0.24
C 3.619409 3.561117 -1.759235 -0.26 -0.17 -0.25
C 2.122416 3.693372 -2.064347 0.31 0.09 -0.02
N 1.363241 3.244853 -0.917525 0.17 0.44 0.13
C 0.557350 2.169435 -0.993935 -0.21 0.24 0.47
O 0.183418 1.671321 -2.032507 -0.10 -0.30 -0.19
C 0.065909 1.638992 0.365356 0.18 0.19 -0.25
N 0.323991 0.215742 0.411610 0.51 0.04 -0.13
N -0.710156 -0.564467 0.625423 -0.76 -0.65 0.24
C -0.560553 -1.861001 0.637535 0.36 0.60 -0.06
C -1.758876 -2.665303 0.888071 -0.43 -0.25 0.07
C -1.682864 -3.939877 1.443380 0.09 0.25 -0.11
C -2.831392 -4.674292 1.672248 -0.14 -0.03 -0.02
C -4.082934 -4.163970 1.354601 0.09 0.00 0.04
C -5.328921 -4.962338 1.583205 -0.02 0.00 -0.05
C -4.156454 -2.886875 0.805548 0.05 -0.06 0.06
C -3.016233 -2.146596 0.576954 0.11 -0.06 -0.02
C 0.719312 -2.442058 0.391672 0.33 0.35 -0.08
C 1.779900 -1.633569 0.164274 -0.17 -0.26 0.03
C 1.627237 -0.198178 0.167650 -0.20 -0.17 0.12
O 2.504501 0.631362 -0.016965 0.26 0.06 0.01
H 4.653075 6.263385 -0.232958 -0.01 0.08 -0.06
H 4.961126 5.820104 -1.931633 -0.01 0.00 0.02
H 3.314489 6.249967 -1.403598 0.04 0.02 0.00
H 3.812326 2.547864 -1.396326 -0.01 0.06 -0.15
H 4.206545 3.744419 -2.669318 -0.01 0.00 0.05
H 1.862386 4.732588 -2.291702 0.05 -0.10 -0.13
H 1.848912 3.063800 -2.913039 0.03 0.10 0.05
H 1.787775 3.481197 -0.032081 -0.15 -0.19 0.02
H -1.012809 1.775185 0.453556 0.18 -0.01 -0.02
H 0.586259 2.133850 1.189377 -0.07 -0.03 -0.04
H -0.726696 -4.356630 1.723463 0.10 -0.04 0.02
H -2.752754 -5.660025 2.108612 -0.01 -0.08 0.05
H -5.123031 -5.846635 2.180933 -0.04 -0.06 0.04
H -6.081063 -4.361073 2.090923 -0.08 -0.02 0.04
H -5.748476 -5.282100 0.629233 -0.08 -0.06 -0.01
H -5.123107 -2.473968 0.554586 -0.10 0.06 -0.03
H -3.076487 -1.159242 0.147242 -0.03 0.09 -0.05
H 0.824266 -3.515711 0.358766 0.03 -0.08 0.01
H 2.766521 -2.016724 -0.046329 0.06 -0.01 -0.01

=====

Record 2
8
Properties=species:S:1:pos:R:3:forces:R:3 method="wB97M-V/def2-TZVPD" homo_ev="-8.47 / -8.42" energy_ev=-19080.142
C -0.386326 -1.334210 -1.693249 -0.16 -0.40 -0.76
C 0.798334 0.823318 0.758278 0.93 0.98 -1.54
O 0.182997 -0.343218 0.957683 0.96 -0.13 0.43
O -2.082559 0.189423 0.131098 -1.21 1.29 -0.62
O 0.649364 -0.894399 -1.703606 0.50 0.23 -0.21
S -1.297964 -0.888527 0.658513 0.45 -0.55 1.26
H 1.917623 0.697223 0.473837 -2.17 0.30 0.86
H 0.218530 1.750390 0.417446 0.70 -1.71 0.57

=====

Record 3
9
Properties=species:S:1:pos:R:3:forces:R:3 method="wB97M-V/def2-TZVPD" multiplicity=3 s_squared=2.038 homo_ev="-8.58 / -8.26" energy_ev=-49307.801
H 0.035790 2.056760 -0.891235 -0.16 -0.16 0.37
C -0.281996 1.189918 -0.303656 -1.65 0.89 -0.94
C 0.468381 0.592720 0.638103 0.95 -1.27 1.82
O -1.541829 0.865372 -0.659842 1.13 -0.47 0.56
O -2.055529 -0.313718 -0.080388 0.22 0.51 -0.19
-- stop --

anybody else notice a lot of “late bloomers” making the scene, lately ? I mean, besides BILL CUNNINGHAM ?
both at the Sundance Film Festival, usually the hot seat of the young and beginning – and, on the current NYC art scene. you can blame it all on Saturn, but it’s a good thing, no doubt about it – when talent – trumps the odds.
you go, eternal hipsters of the heart.

+++
C4H11N2O | ωB97M-V/def2-TZVPD

```
18
Properties=species:S:1:pos:R:3:lowdin_charge:R:1
O -0.03235 1.83817 0.12587 0.05
N 0.16121 0.78371 2.45875 0.19
N -0.27245 -0.18509 -0.92924 -0.13
C 0.01313 -1.60805 -1.05053 -0.02
C 0.80085 0.02990 1.30775 -0.01
C 0.08944 0.62422 0.04601 -0.48
C -0.77087 0.46546 -2.17618 0.01
H -0.52434 1.52757 -2.10666 0.09
H -1.85361 0.26611 -2.26733 0.10
H 0.77248 1.04259 3.24767 0.18
H -0.29288 -0.10988 -3.05604 0.12
H -0.62816 0.26612 2.88188 0.18
H 0.49659 -1.99336 -0.18463 0.07
H -0.34660 1.61650 2.17752 0.15
H 0.71483 -1.72321 -1.89069 0.11
H -0.87862 -2.17546 -1.35724 0.11
H 1.80733 0.37441 1.20638 0.13
H 0.74400 -1.03971 1.56670 0.13
```

The highest occupied orbital energy comes out at -13.7 eV. For the relative energy (zero: lowest compared OMol25 entry of this formula, charge and spin), the calculation gives 146.55 kJ/mol. For the frontier orbital gap, the calculation gives 10.1 eV. For the molecular weight, the calculation gives 103.14 g mol⁻¹. Its total charge is +1.


{"formula": "C2H8S4", "method": "the ωB97M-V functional and the def2-TZVPD basis", "elements": ["C", "S", "S", "H", "H", "H", "H", "C", "S", "S", "H", "H", "H", "H"], "xyz": [[0.40292, -0.03797, -2.52833], [-1.22294, -0.31190, -1.72374], [-0.61690, -2.25139, -1.19643], [1.18522, -0.43551, -1.75003], [0.58144, -0.54241, -3.50118], [0.57438, 1.11002, -2.66080], [-0.34093, -1.84946, 0.03538], [2.07188, 0.73634, 0.79208], [0.98156, 0.31330, 2.15124], [-0.53635, 1.87893, 1.67712], [2.58113, -0.18046, 0.61011], [1.47105, 0.96919, -0.02942], [2.89091, 1.61397, 0.95090], [-1.47797, 1.06141, 2.23169]], "forces_ev_per_angstrom": [[1.836, 1.758, 1.052], [1.122, -0.943, -0.760], [-1.026, 0.224, 0.011], [-1.343, 0.932, -1.721], [-0.507, 0.212, 0.687], [-0.338, -1.991, 0.158], [0.278, -0.197, 0.558], [2.346, 1.782, 1.464], [-1.077, 1.747, -0.300], [0.696, -1.807, 1.036], [0.727, -0.625, -0.383], [-0.786, 0.390, -1.381], [-2.108, -2.047, -0.030], [0.181, 0.566, -0.391]], "largest_force_ev_per_a": 3.290, "molar_mass_g_mol": 160.35, "smiles": "CSS.CSS", "gap_ev": 8.43, "lumo_energy_ev": -0.16, "multiplicity": 1}
+++

don’t believe me ? just back flip though all your mainstream arts coverage of the past month !!

while at SUNDANCE 2012, New York Post film critic – LOU LUMENICK reports that: ‘The hottest new writer-director at this years’ Sundance Film Festival is also the oldest person to have a film in the US dramatic competition here” . . . the 65 year-old BEN LEWIN who made his non-stop acclaim feature, ‘The Surrogate’ for around $1 million. The true story of a severely disabled poet/journalist who hires a surrogate so he can taste sex before he departs this world – must have a lot going for it – to topple that dreary storyline, is all I can say.
and yeah, it is a harsh universe, isn’t it. apparently Ben Lewin himself is a polio survivor who wears a leg brace and walks with crutches. (!!)
anyway to make a long story short, his film was a hit at Sundance, “The film was acquired by Fox Searchlight for a reported $6 million, hours after it premiered Monday to a standing ovation and rave reviews”.

and dig this, a little further on in Lou’s post: “A Hollywood Reporter reviewer compared LEWIN to DAVID SEIDLER, the veteran writer of last year’s Oscar winner, ‘The King’s Speech’. “He called himself a late bloomer”, says Lewin of Seidler, stunned by the reception he and ‘The Surrogate’ received on his first trip to Sundance. “Personally I’m really enjoying this late blooming.”

them be fighting words, dude. right on.

read: LOU LUMENICK: To ‘Surrogate’ with love – and laughs !!

p.s. note to JOSH HARRIS, rumored to be holed up in RED HOOK !! remember when you swept SUNDANCE 2009 – with the Ondi Timoner helmed ‘WE LIVE IN PUBLIC’ ? talk about Father Time – my, how time flies !! only 3 short years ago, and it was you they were crowing about !! feels like forever.
say what – about a harsh universe ?

p.s.s. $10 + artlovers write-up (!!) . . . for the first confirmed JOSH HARRIS – back in Brooklyn !! pic. yo, and try to get a Brooklyn landmark – in the background and we’ll double the cash award – to $20 !!
for real. go ahead – try me !!

gonna try to hook u up with a ‘Surrogate’ trailer, try back in 5 mins !! sorry no can do, not one up yet. not a wisp of a clip anywhere.